# File
____________
No. 1
The following is a quantum chemistry calculation of a structure of composition C29H39Br2FN5OPReSi in a non-equilibrium geometry, from the Open Molecules 2025 dataset.

The geometry in XYZ format:
```
80
Properties=species:S:1:pos:R:3:lowdin_spin:R:1
Re 0.36 -0.52 -0.59 2.60
Br -0.18 -5.34 4.19 0.01
C 0.11 -3.95 3.00 0.02
C 1.26 -3.27 2.80 0.00
C 1.34 -2.24 1.86 0.02
N 0.32 -1.92 1.04 0.01
C -0.87 -2.56 1.27 0.02
C -0.98 -3.61 2.22 0.00
C -2.01 -2.11 0.49 0.02
C -3.24 -2.60 0.75 0.00
C -4.29 -2.08 -0.04 0.02
Br -6.01 -2.75 -0.04 0.01
C -4.08 -0.97 -0.85 0.00
C -2.79 -0.50 -1.03 0.02
N -1.74 -1.06 -0.37 0.01
H 2.09 -3.50 3.42 0.00
H 2.23 -1.58 1.70 0.00
H -1.93 -4.05 2.43 0.00
H -3.53 -3.34 1.46 0.00
H -4.92 -0.50 -1.44 0.00
H -2.62 0.32 -1.73 0.00
C 2.98 -2.42 -2.49 0.01
C 3.62 -1.65 -1.27 0.01
P 2.70 -0.12 -0.79 0.03
C 3.14 1.03 -2.06 0.00
C 4.57 1.05 -2.64 0.00
C 3.60 0.32 0.82 0.01
C 5.08 0.69 0.56 0.00
H 3.75 -2.97 -2.99 0.00
H 2.66 -1.65 -3.19 0.00
H 2.12 -3.08 -2.26 0.00
H 4.61 -1.39 -1.57 0.00
H 3.62 -2.33 -0.44 0.00
H 2.80 1.99 -1.72 0.00
H 2.43 0.82 -2.88 0.00
H 5.37 0.68 -1.99 0.00
H 4.80 2.11 -2.84 0.00
H 4.65 0.37 -3.52 0.00
H 3.52 -0.60 1.39 0.00
H 3.05 1.05 1.38 0.00
H 5.56 -0.09 -0.02 0.00
H 5.62 0.69 1.49 0.00
H 5.25 1.58 0.03 0.00
C -0.75 0.40 -5.74 0.00
N -0.31 1.08 -4.45 0.00
C -0.42 2.43 -4.30 0.00
C -0.21 2.97 -3.12 0.00
C -0.06 2.15 -2.00 0.00
N 0.12 0.85 -2.13 0.03
C -0.11 0.31 -3.37 0.01
O -0.03 -0.91 -3.48 0.05
N 0.11 2.72 -0.82 0.02
H 0.11 -0.26 -6.05 0.00
H -0.94 1.11 -6.51 0.00
H -1.60 -0.22 -5.55 0.00
H -0.76 2.89 -5.18 0.00
H -0.33 4.04 -3.07 0.00
H -0.19 3.72 -0.78 0.00
H 0.12 2.13 0.03 0.01
C -0.28 3.13 3.39 0.00
Si -0.82 1.34 3.04 0.00
C -0.24 0.00 4.20 0.00
C -2.64 1.22 2.68 0.00
C -3.37 0.22 3.38 0.00
C -4.68 0.03 3.13 0.00
C -5.39 0.86 2.28 0.00
C -4.74 1.93 1.68 0.00
C -3.36 2.12 1.89 0.00
H -0.05 3.72 2.46 0.00
H 0.72 3.24 3.85 0.00
H -1.10 3.63 3.90 0.00
H -0.54 0.18 5.24 0.00
H 0.85 -0.08 4.22 0.00
H -0.59 -0.95 3.82 0.00
H -2.86 -0.44 4.05 0.00
H -5.18 -0.84 3.51 0.00
H -6.44 0.68 2.10 0.00
H -5.24 2.62 1.07 0.00
H -2.83 3.00 1.45 0.00
F -0.01 1.03 1.64 0.06
```

Summary:
Highest occupied orbital energy (spin up / spin down) (eV): -13.66 / -12.73
Energy above the lowest of the compared OMol25 structures with the same formula, charge and spin (eV): 0.000
<S²>: 3.76
LUMO level (spin up / spin down) (eV): -6.15 / -6.56
Spin multiplicity: 4
Total charge: +2
Electronic energy (Eh): -7434.10789


No. 2
The following is a quantum chemistry calculation of a structure of composition C29H39N6O5STi in a non-equilibrium geometry, from the Open Molecules 2025 dataset.

The geometry in XYZ format:
```
81
Properties=species:S:1:pos:R:3:mulliken_charge:R:1
Ti 0.05 0.83 -0.50 0.20
O 2.68 1.18 -3.23 -0.83
C 1.49 1.71 -2.75 0.58
O 1.45 1.74 -1.36 -0.17
C 1.19 3.10 -3.32 -1.04
O -0.23 3.12 -3.57 -0.47
C -0.51 1.84 -4.16 -0.44
C 0.30 0.80 -3.36 1.34
O 0.74 -0.22 -4.02 -1.03
O -0.54 0.45 -2.17 0.75
H 2.34 0.35 -3.66 0.48
H 1.73 3.24 -4.26 0.41
H 1.42 3.90 -2.62 0.13
H -0.16 1.83 -5.20 0.37
H -1.58 1.68 -4.12 -0.56
N -3.53 -1.47 0.01 0.13
C -2.97 -1.76 1.24 0.47
C -3.17 -2.80 2.13 -1.27
C -2.44 -2.77 3.30 -0.54
C -1.54 -1.73 3.56 -0.54
C -1.34 -0.70 2.66 0.02
C -2.06 -0.73 1.48 0.38
N -2.06 0.16 0.40 -0.41
C -2.94 -0.33 -0.45 -0.24
C -3.32 0.22 -1.74 0.05
C -3.47 -0.52 -2.88 0.13
S -3.93 0.51 -4.16 -0.26
C -3.89 1.84 -3.10 -0.19
N -3.57 1.57 -1.87 -0.44
H -4.20 -2.01 -0.50 0.28
H -3.86 -3.61 1.91 0.40
H -2.53 -3.58 4.01 0.37
H -0.95 -1.76 4.47 0.29
H -0.61 0.07 2.84 0.12
H -3.22 -1.55 -3.03 0.42
H -4.12 2.84 -3.44 0.48
N -1.19 2.91 -0.77 -0.21
C -0.94 4.28 -0.32 -0.73
C -0.39 4.36 1.10 -0.78
C 0.96 3.67 1.23 -0.77
N 0.84 2.22 1.32 -0.38
H -1.11 2.90 -1.79 0.04
H -2.15 2.64 -0.58 0.33
H -1.85 4.89 -0.40 0.37
H -0.21 4.72 -1.00 0.34
H -1.10 3.93 1.81 0.29
H -0.28 5.42 1.36 0.41
H 1.50 4.08 2.10 0.47
H 1.56 3.88 0.35 0.30
H 0.69 1.91 2.28 0.23
H 1.70 1.78 1.02 0.35
C 1.99 -0.03 4.21 -1.65
____________

# Activity
Next, find the line further up that holds "-0.04 0.01", then duplicate that line and all lines after it there.

# Written answer
Br -6.01 -2.75 -0.04 0.01
C -4.08 -0.97 -0.85 0.00
C -2.79 -0.50 -1.03 0.02
N -1.74 -1.06 -0.37 0.01
H 2.09 -3.50 3.42 0.00
H 2.23 -1.58 1.70 0.00
H -1.93 -4.05 2.43 0.00
H -3.53 -3.34 1.46 0.00
H -4.92 -0.50 -1.44 0.00
H -2.62 0.32 -1.73 0.00
C 2.98 -2.42 -2.49 0.01
C 3.62 -1.65 -1.27 0.01
P 2.70 -0.12 -0.79 0.03
C 3.14 1.03 -2.06 0.00
C 4.57 1.05 -2.64 0.00
C 3.60 0.32 0.82 0.01
C 5.08 0.69 0.56 0.00
H 3.75 -2.97 -2.99 0.00
H 2.66 -1.65 -3.19 0.00
H 2.12 -3.08 -2.26 0.00
H 4.61 -1.39 -1.57 0.00
H 3.62 -2.33 -0.44 0.00
H 2.80 1.99 -1.72 0.00
H 2.43 0.82 -2.88 0.00
H 5.37 0.68 -1.99 0.00
H 4.80 2.11 -2.84 0.00
H 4.65 0.37 -3.52 0.00
H 3.52 -0.60 1.39 0.00
H 3.05 1.05 1.38 0.00
H 5.56 -0.09 -0.02 0.00
H 5.62 0.69 1.49 0.00
H 5.25 1.58 0.03 0.00
C -0.75 0.40 -5.74 0.00
N -0.31 1.08 -4.45 0.00
C -0.42 2.43 -4.30 0.00
C -0.21 2.97 -3.12 0.00
C -0.06 2.15 -2.00 0.00
N 0.12 0.85 -2.13 0.03
C -0.11 0.31 -3.37 0.01
O -0.03 -0.91 -3.48 0.05
N 0.11 2.72 -0.82 0.02
H 0.11 -0.26 -6.05 0.00
H -0.94 1.11 -6.51 0.00
H -1.60 -0.22 -5.55 0.00
H -0.76 2.89 -5.18 0.00
H -0.33 4.04 -3.07 0.00
H -0.19 3.72 -0.78 0.00
H 0.12 2.13 0.03 0.01
C -0.28 3.13 3.39 0.00
Si -0.82 1.34 3.04 0.00
C -0.24 0.00 4.20 0.00
C -2.64 1.22 2.68 0.00
C -3.37 0.22 3.38 0.00
C -4.68 0.03 3.13 0.00
C -5.39 0.86 2.28 0.00
C -4.74 1.93 1.68 0.00
C -3.36 2.12 1.89 0.00
H -0.05 3.72 2.46 0.00
H 0.72 3.24 3.85 0.00
H -1.10 3.63 3.90 0.00
H -0.54 0.18 5.24 0.00
H 0.85 -0.08 4.22 0.00
H -0.59 -0.95 3.82 0.00
H -2.86 -0.44 4.05 0.00
H -5.18 -0.84 3.51 0.00
H -6.44 0.68 2.10 0.00
H -5.24 2.62 1.07 0.00
H -2.83 3.00 1.45 0.00
F -0.01 1.03 1.64 0.06
```

Summary:
Highest occupied orbital energy (spin up / spin down) (eV): -13.66 / -12.73
Energy above the lowest of the compared OMol25 structures with the same formula, charge and spin (eV): 0.000
<S²>: 3.76
LUMO level (spin up / spin down) (eV): -6.15 / -6.56
Spin multiplicity: 4
Total charge: +2
Electronic energy (Eh): -7434.10789


No. 2
The following is a quantum chemistry calculation of a structure of composition C29H39N6O5STi in a non-equilibrium geometry, from the Open Molecules 2025 dataset.

The geometry in XYZ format:
```
81
Properties=species:S:1:pos:R:3:mulliken_charge:R:1
Ti 0.05 0.83 -0.50 0.20
O 2.68 1.18 -3.23 -0.83
C 1.49 1.71 -2.75 0.58
O 1.45 1.74 -1.36 -0.17
C 1.19 3.10 -3.32 -1.04
O -0.23 3.12 -3.57 -0.47
C -0.51 1.84 -4.16 -0.44
C 0.30 0.80 -3.36 1.34
O 0.74 -0.22 -4.02 -1.03
O -0.54 0.45 -2.17 0.75
H 2.34 0.35 -3.66 0.48
H 1.73 3.24 -4.26 0.41
H 1.42 3.90 -2.62 0.13
H -0.16 1.83 -5.20 0.37
H -1.58 1.68 -4.12 -0.56
N -3.53 -1.47 0.01 0.13
C -2.97 -1.76 1.24 0.47
C -3.17 -2.80 2.13 -1.27
C -2.44 -2.77 3.30 -0.54
C -1.54 -1.73 3.56 -0.54
C -1.34 -0.70 2.66 0.02
C -2.06 -0.73 1.48 0.38
N -2.06 0.16 0.40 -0.41
C -2.94 -0.33 -0.45 -0.24
C -3.32 0.22 -1.74 0.05
C -3.47 -0.52 -2.88 0.13
S -3.93 0.51 -4.16 -0.26
C -3.89 1.84 -3.10 -0.19
N -3.57 1.57 -1.87 -0.44
H -4.20 -2.01 -0.50 0.28
H -3.86 -3.61 1.91 0.40
H -2.53 -3.58 4.01 0.37
H -0.95 -1.76 4.47 0.29
H -0.61 0.07 2.84 0.12
H -3.22 -1.55 -3.03 0.42
H -4.12 2.84 -3.44 0.48
N -1.19 2.91 -0.77 -0.21
C -0.94 4.28 -0.32 -0.73
C -0.39 4.36 1.10 -0.78
C 0.96 3.67 1.23 -0.77
N 0.84 2.22 1.32 -0.38
H -1.11 2.90 -1.79 0.04
H -2.15 2.64 -0.58 0.33
H -1.85 4.89 -0.40 0.37
H -0.21 4.72 -1.00 0.34
H -1.10 3.93 1.81 0.29
H -0.28 5.42 1.36 0.41
H 1.50 4.08 2.10 0.47
H 1.56 3.88 0.35 0.30
H 0.69 1.91 2.28 0.23
H 1.70 1.78 1.02 0.35
C 1.99 -0.03 4.21 -1.65